**What to do:**
Please transcribe all of the notes below with every line break kept.
**Given:**
+++
## w
Density functional theory data (PBE-GGA) for a relaxed Cs2HgC2SI4O crystal.

The structure in POSCAR format:
```
Cs2HgC2SI4O
1.0
8.597 0.000 0.000
2.355 9.707 0.000
3.335 0.881 11.215
Cs Hg C S I O
4 2 4 2 8 2
Direct
0.830 0.325 0.084 Cs
0.170 0.675 0.916 Cs
0.264 0.717 0.389 Cs
0.736 0.283 0.611 Cs
0.280 0.285 0.233 Hg
0.720 0.715 0.767 Hg
0.293 0.035 0.772 C
0.707 0.965 0.228 C
0.450 0.993 0.742 C
0.550 0.007 0.258 C
0.102 0.113 0.778 S
0.898 0.887 0.222 S
0.053 0.108 0.333 I
0.947 0.892 0.667 I
0.982 0.543 0.274 I
0.018 0.457 0.726 I
0.415 0.305 0.986 I
0.585 0.695 0.014 I
0.472 0.330 0.378 I
0.528 0.670 0.622 I
0.995 0.118 0.902 O
0.005 0.882 0.098 O
```

Output
space group: P-1
spin magnetization: 0.000 μB/f.u.

## x
Density functional theory data (PBE-GGA) for a relaxed Cs2HgC2SI4O crystal.

The structure in POSCAR format:
```
Cs2HgC2SI4O
1.0
-6.051 1.370 5.782
2.489 -7.459 9.075
4.186 6.469 6.364
Cs Hg C S I O
4 2 4 2 8 2
Direct
0.174 0.920 0.697 Cs
0.826 0.080 0.303 Cs
0.707 0.618 0.260 Cs
0.293 0.382 0.740 Cs
0.627 0.769 0.821 Hg
0.373 0.231 0.179 Hg
0.710 0.237 0.919 C
0.290 0.763 0.081 C
0.572 0.240 0.999 C
0.428 0.760 0.001 C
0.913 0.234 0.857 S
0.087 0.766 0.143 S
0.962 0.665 0.851 I
0.038 0.335 0.149 I
0.072 0.726 0.413 I
0.928 0.274 0.587 I
0.618 0.998 0.688 I
0.382 0.002 0.312 I
0.542 0.629 0.647 I
0.458 0.371 0.353 I
0.013 0.113 0.884 O
0.987 0.887 0.116 O
```

Output
space group: P-1
spin magnetization: 0.002 μB/f.u.

It turns out x is the most stable, with the second structure 8.3 kJ/mol of atoms higher.

## w
Density functional theory data (PBE-GGA) for a relaxed CsMg14C crystal.

The structure in POSCAR format:
```
CsMg14C
1.0
6.666 0.237 0.000
-3.128 5.418 0.000
0.000 0.000 10.513
Cs Mg C
1 14 1
Direct
0.099 0.300 0.125 Cs
0.173 0.336 0.625 Mg
0.154 0.827 0.625 Mg
0.603 0.302 0.125 Mg
0.655 0.334 0.625 Mg
0.603 0.801 0.125 Mg
0.655 0.821 0.625 Mg
0.344 0.161 0.382 Mg
0.344 0.161 0.868 Mg
0.344 0.682 0.382 Mg
0.344 0.682 0.868 Mg
0.824 0.162 0.403 Mg
0.824 0.162 0.847 Mg
0.840 0.670 0.358 Mg
0.840 0.670 0.892 Mg
0.355 0.927 0.125 C
```

Output
space group: Amm2
spin magnetization: 0.000 μB/f.u.

## x
Density functional theory data (PBE-GGA) for a relaxed CsMg14C crystal.

The structure in POSCAR format:
```
CsMg14C
1.0
-3.305 -0.128 -5.415
5.323 -3.410 0.550
-5.838 -8.506 3.764
Cs Mg C
1 14 1
Direct
0.167 0.333 0.125 Cs
0.172 0.836 0.125 Mg
0.152 0.826 0.625 Mg
0.664 0.328 0.125 Mg
0.674 0.348 0.625 Mg
0.664 0.836 0.125 Mg
0.674 0.826 0.625 Mg
0.326 0.174 0.417 Mg
0.326 0.174 0.833 Mg
0.326 0.653 0.417 Mg
0.326 0.653 0.833 Mg
0.847 0.174 0.417 Mg
0.847 0.174 0.833 Mg
0.833 0.667 0.365 Mg
0.833 0.667 0.885 Mg
0.167 0.333 0.625 C
```

Output
space group: P-6m2
spin magnetization: 0.034 μB/f.u.

It turns out w is the most stable, with the second structure 10.5 kJ/mol of atoms higher.

## w
Density functional theory data (PBE-GGA) for a relaxed Cs4CO4 crystal.

The structure in POSCAR format:
```
Cs4CO4
1.0
2.589 6.797 0.000
-2.589 6.797 0.000
0.000 2.327 7.252
Cs C O
4 1 4
Direct
0.455 0.773 0.182 Cs
0.802 0.489 0.634 Cs
0.511 0.198 0.366 Cs
0.227 0.545 0.818 Cs
0.998 0.002 0.500 C
0.230 0.912 0.560 O
0.782 0.101 0.650 O
0.088 0.770 0.440 O
0.899 0.218 0.350 O
```

Output
space group: C2
spin magnetization: 0.001 μB/f.u.

## x
Density functional theory data (PBE-GGA) for a relaxed Cs4CO4 crystal.

The structure in POSCAR format:
```
Cs4CO4
1.0
-4.885 4.885 2.978
4.885 -4.885 2.978
4.885 4.885 -2.978
Cs C O
4 1 4
Direct
0.337 0.337 0.333 Cs
0.663 0.996 0.000 Cs
0.004 0.004 0.667 Cs
0.996 0.663 0.000 Cs
0.500 0.500 0.000 C
0.449 0.277 0.000 O
0.551 0.551 0.828 O
0.723 0.723 0.172 O
0.277 0.449 0.000 O
```

Output
space group: I-42m
spin magnetization: 0.001 μB/f.u.

## y
Density functional theory data (PBE-GGA) for a relaxed Cs4CO4 crystal.

The structure in POSCAR format:
```
Cs4CO4
1.0
-0.061 -3.213 5.349
4.898 -3.339 -1.949
3.866 4.180 2.555
Cs C O
4 1 4
Direct
0.771 0.229 0.229 Cs
0.229 0.771 0.229 Cs
+++
**Written answer:**
## w
Density functional theory data (PBE-GGA) for a relaxed Cs2HgC2SI4O crystal.

The structure in POSCAR format:
```
Cs2HgC2SI4O
1.0
8.597 0.000 0.000
2.355 9.707 0.000
3.335 0.881 11.215
Cs Hg C S I O
4 2 4 2 8 2
Direct
0.830 0.325 0.084 Cs
0.170 0.675 0.916 Cs
0.264 0.717 0.389 Cs
0.736 0.283 0.611 Cs
0.280 0.285 0.233 Hg
0.720 0.715 0.767 Hg
0.293 0.035 0.772 C
0.707 0.965 0.228 C
0.450 0.993 0.742 C
0.550 0.007 0.258 C
0.102 0.113 0.778 S
0.898 0.887 0.222 S
0.053 0.108 0.333 I
0.947 0.892 0.667 I
0.982 0.543 0.274 I
0.018 0.457 0.726 I
0.415 0.305 0.986 I
0.585 0.695 0.014 I
0.472 0.330 0.378 I
0.528 0.670 0.622 I
0.995 0.118 0.902 O
0.005 0.882 0.098 O
```

Output
space group: P-1
spin magnetization: 0.000 μB/f.u.

## x
Density functional theory data (PBE-GGA) for a relaxed Cs2HgC2SI4O crystal.

The structure in POSCAR format:
```
Cs2HgC2SI4O
1.0
-6.051 1.370 5.782
2.489 -7.459 9.075
4.186 6.469 6.364
Cs Hg C S I O
4 2 4 2 8 2
Direct
0.174 0.920 0.697 Cs
0.826 0.080 0.303 Cs
0.707 0.618 0.260 Cs
0.293 0.382 0.740 Cs
0.627 0.769 0.821 Hg
0.373 0.231 0.179 Hg
0.710 0.237 0.919 C
0.290 0.763 0.081 C
0.572 0.240 0.999 C
0.428 0.760 0.001 C
0.913 0.234 0.857 S
0.087 0.766 0.143 S
0.962 0.665 0.851 I
0.038 0.335 0.149 I
0.072 0.726 0.413 I
0.928 0.274 0.587 I
0.618 0.998 0.688 I
0.382 0.002 0.312 I
0.542 0.629 0.647 I
0.458 0.371 0.353 I
0.013 0.113 0.884 O
0.987 0.887 0.116 O
```

Output
space group: P-1
spin magnetization: 0.002 μB/f.u.

It turns out x is the most stable, with the second structure 8.3 kJ/mol of atoms higher.

## w
Density functional theory data (PBE-GGA) for a relaxed CsMg14C crystal.

The structure in POSCAR format:
```
CsMg14C
1.0
6.666 0.237 0.000
-3.128 5.418 0.000
0.000 0.000 10.513
Cs Mg C
1 14 1
Direct
0.099 0.300 0.125 Cs
0.173 0.336 0.625 Mg
0.154 0.827 0.625 Mg
0.603 0.302 0.125 Mg
0.655 0.334 0.625 Mg
0.603 0.801 0.125 Mg
0.655 0.821 0.625 Mg
0.344 0.161 0.382 Mg
0.344 0.161 0.868 Mg
0.344 0.682 0.382 Mg
0.344 0.682 0.868 Mg
0.824 0.162 0.403 Mg
0.824 0.162 0.847 Mg
0.840 0.670 0.358 Mg
0.840 0.670 0.892 Mg
0.355 0.927 0.125 C
```

Output
space group: Amm2
spin magnetization: 0.000 μB/f.u.

## x
Density functional theory data (PBE-GGA) for a relaxed CsMg14C crystal.

The structure in POSCAR format:
```
CsMg14C
1.0
-3.305 -0.128 -5.415
5.323 -3.410 0.550
-5.838 -8.506 3.764
Cs Mg C
1 14 1
Direct
0.167 0.333 0.125 Cs
0.172 0.836 0.125 Mg
0.152 0.826 0.625 Mg
0.664 0.328 0.125 Mg
0.674 0.348 0.625 Mg
0.664 0.836 0.125 Mg
0.674 0.826 0.625 Mg
0.326 0.174 0.417 Mg
0.326 0.174 0.833 Mg
0.326 0.653 0.417 Mg
0.326 0.653 0.833 Mg
0.847 0.174 0.417 Mg
0.847 0.174 0.833 Mg
0.833 0.667 0.365 Mg
0.833 0.667 0.885 Mg
0.167 0.333 0.625 C
```

Output
space group: P-6m2
spin magnetization: 0.034 μB/f.u.

It turns out w is the most stable, with the second structure 10.5 kJ/mol of atoms higher.

## w
Density functional theory data (PBE-GGA) for a relaxed Cs4CO4 crystal.

The structure in POSCAR format:
```
Cs4CO4
1.0
2.589 6.797 0.000
-2.589 6.797 0.000
0.000 2.327 7.252
Cs C O
4 1 4
Direct
0.455 0.773 0.182 Cs
0.802 0.489 0.634 Cs
0.511 0.198 0.366 Cs
0.227 0.545 0.818 Cs
0.998 0.002 0.500 C
0.230 0.912 0.560 O
0.782 0.101 0.650 O
0.088 0.770 0.440 O
0.899 0.218 0.350 O
```

Output
space group: C2
spin magnetization: 0.001 μB/f.u.

## x
Density functional theory data (PBE-GGA) for a relaxed Cs4CO4 crystal.

The structure in POSCAR format:
```
Cs4CO4
1.0
-4.885 4.885 2.978
4.885 -4.885 2.978
4.885 4.885 -2.978
Cs C O
4 1 4
Direct
0.337 0.337 0.333 Cs
0.663 0.996 0.000 Cs
0.004 0.004 0.667 Cs
0.996 0.663 0.000 Cs
0.500 0.500 0.000 C
0.449 0.277 0.000 O
0.551 0.551 0.828 O
0.723 0.723 0.172 O
0.277 0.449 0.000 O
```

Output
space group: I-42m
spin magnetization: 0.001 μB/f.u.

## y
Density functional theory data (PBE-GGA) for a relaxed Cs4CO4 crystal.

The structure in POSCAR format:
```
Cs4CO4
1.0
-0.061 -3.213 5.349
4.898 -3.339 -1.949
3.866 4.180 2.555
Cs C O
4 1 4
Direct
0.771 0.229 0.229 Cs
0.229 0.771 0.229 Cs